Thursday, August 14, 2014

How Often is too Often?

Getting the balance right on posts to social media assets is something every business wants.  You want to post often enough to be relevant and useful, but not so often that your followers unfollow you or mute your content.  But how do you know what the balance should be?

When you are first starting out, it will be quite difficult to gauge from your own social media assets what your approach should be.  There simply won't be enough data for you to make a good decision about your approach from your own followers.  However, you can do something:

Competitor Analysis

+++
Entry 1:
# C6H17BO4PS

A cluster of 2 separate species, C6H17BO4PS in total (ωB97M-V with the def2-TZVPD basis set, the OMol25 dataset).

- 2S+1 = 1
- total charge = -1
- orbital gap (eV) = 6.5
- HOMO (eV) = -4.12

Positions of all 30 atoms, in Å:
1 C -1.08500 -1.36380 0.54613
2 C -0.44632 0.02641 0.60667
3 P 1.29495 -0.04173 1.27209
4 C 1.06771 1.01214 2.78981
5 C 2.27393 1.13450 0.17815
6 O 3.60239 0.72232 0.11568
7 B 4.10988 0.89602 -1.26523
8 S 4.64196 -0.84488 -2.02366
9 O 2.94394 1.46526 -2.00483
10 C 1.80222 1.26832 -1.27495
11 O 0.90433 2.37236 -1.34587
12 H -0.58114 -1.98400 -0.19604
13 H -1.00619 -1.86779 1.51200
14 H -2.14177 -1.29483 0.27965
15 H -1.04851 0.67851 1.24221
16 H -0.46506 0.48226 -0.38314
17 H 1.36352 2.04541 2.60370
18 H 1.67246 0.62115 3.60796
19 H 0.02479 1.01103 3.10606
20 H 2.19986 2.13356 0.63550
21 H 5.08239 1.62942 -1.34797
22 H 4.03633 -1.64470 -1.13793
23 H 1.26820 0.37164 -1.63736
24 H 0.48734 2.34079 -2.21846
25 C -5.42610 -2.17421 -0.76904
26 O -4.56982 -1.14707 -0.30079
27 H -4.78820 -2.92208 -1.23524
28 H -5.98090 -2.65158 0.04429
29 H -6.13644 -1.81035 -1.51754
30 H -5.10075 -0.46410 0.11816

Cartesian forces, eV/Å:
-0.022 0.157 0.029
-0.117 0.051 -0.115
-0.003 -0.095 -0.106
0.153 -0.031 0.029
-0.178 0.036 0.188
0.135 -0.122 -0.004
-0.349 0.422 0.129
0.221 -0.253 -0.128
0.180 0.118 -0.042
0.079 -0.154 0.084
-0.218 -0.065 -0.281
0.039 -0.056 0.032
0.000 -0.056 -0.014
0.030 -0.050 -0.017
-0.003 0.041 0.027
0.063 0.007 0.022
-0.010 0.032 -0.011
0.025 0.054 0.014
-0.024 -0.087 0.034
-0.041 0.067 -0.098
-0.051 -0.099 -0.098
-0.097 0.032 0.053
0.009 -0.025 0.059
0.223 0.064 0.221
0.034 -0.002 -0.001
-0.100 0.030 0.003
-0.015 -0.012 -0.003
0.004 0.000 0.005
0.004 0.005 -0.004
0.026 -0.011 -0.009

Entry 2:
# C41H37N7O2STi

A structure of composition C41H37N7O2STi in a non-equilibrium geometry (ωB97M-V with the def2-TZVPD basis set, the OMol25 dataset).

- 2S+1 = 1
- total charge = 0
- orbital gap (alpha / beta) (eV) = 6.1 / 6.0
- HOMO (alpha / beta) (eV) = -7.60 / -7.55
- energy relative to the best compared isomer or geometry (same formula, charge and spin) (kcal per mole) = 14.4

Positions of all 89 atoms, in Å:
1 Ti 0.43923 -0.49156 1.09748
2 C 2.31008 2.16650 1.46845
3 C 1.43734 2.62880 2.60825
4 C 1.58288 3.94814 3.02544
5 C 0.71465 4.51095 3.94374
6 C -0.34555 3.75472 4.41529
7 C -0.51336 2.42905 4.03467
8 C -1.72995 1.67997 4.52030
9 C 0.42520 1.84654 3.17512
10 N 0.30193 0.43619 2.87517
11 C 0.30551 -0.37710 4.00981
12 O 0.47171 -0.04931 5.15799
13 C -0.02991 -1.79883 3.66394
14 C -0.37262 -2.77387 4.57520
15 C -0.82395 -3.98840 4.08442
16 C -0.97644 -4.17651 2.71136
17 C -0.62509 -3.14817 1.87799
18 N -0.15325 -2.00195 2.36346
19 C -0.99163 -3.03995 0.42346
20 O -1.48757 -3.97326 -0.17117
21 N -0.78730 -1.75200 -0.02834
22 C -1.69817 -1.34422 -1.08664
23 C -1.40365 -1.46422 -2.44579
24 C -0.21635 -2.22817 -2.96132
25 C -2.27417 -0.88779 -3.37438
26 C -3.42953 -0.24420 -2.97341
+++

Have a look at other similar but more established business pages.  When are they posting?  How often are they posting?  What is the level of engagement from their followers?  From this you can determine when it might suit your audience to see your posts and how often people want to hear from you.

Ask your followers

Even if your fan base is small, you can ask a question and then see what the response is.  Ask something fun like "Are you seeing this post on a phone, tablet or laptop?"  or "How addicted to social media are you?  How often do you check per day?"  Post questions like this at various times in the day to see what the reach is like and how many people respond.  Answers to these questions will give you some insight into your potential customers while gauging overall interactions.

Be aware that while some businesses might flood newsfeeds with sales posts and calls to action, followers have the ability to mute or unfollow businesses that become a nuisance or upset the balance of business and fun on social media. 

Calendar and Schedule

Once you have determined a schedule of content that should work for your business, get gathering and scheduling those posts either on a calendar or directly into the asset if it allows that functionality.  On Facebook, for example, you can schedule for weeks in advance.  It means you then only need to add ad-hoc posts when you want to comment on current affairs that you couldn't account for.


Every quarter, I recommend a revisit to your approach.  Make sure that what you are doing is actually yielding you the results you were after.  If it's not working, then look at your page statistics again and determine if there has been a shift in when people are online or engaging.  As your fan base grows, you will find this shift happens quite naturally, especially if your initial fan base was not made up entirely of your ideal customer.   Refocusing your efforts regularly means that you don't end up being left behind.

If you live in New Zealand and have need of Social Media Content Management for your business, visit to see our offerings or contact us directly at for pricing and more information. Follow us over at

Saturday, August 2, 2014

August 2014 Instagram Challenge

== Between two parts of the entry: calculated molecules ==
+++
No. 1
The following is a quantum chemistry calculation of a cluster of 9 separate species, C23H35N8OP in total, from OMol25.

```
68
C23H35N8OP wB97M-V/def2-TZVPD
C -4.58261 -1.98641 -2.25267
O -6.47730 1.23112 1.89429
H 4.17828 -5.31290 -3.03950
C 4.24177 -0.04522 -4.41303
N 7.64421 1.91903 -2.26332
C 5.64317 0.21095 -4.10378
C -4.24757 1.16160 2.89173
C -2.87583 1.03426 2.68578
H -8.52983 -0.81579 3.18605
C -7.07603 1.10493 3.17347
H -0.16242 -2.51848 -1.17324
H 0.50753 -4.12459 -0.83959
H -5.29659 0.84271 -0.30575
H -4.74003 -3.00894 -2.58877
C 3.14169 -4.14059 -1.64892
H -0.04174 -3.11077 0.49666
H -7.13219 -0.32831 5.09743
H 2.41492 -5.49370 -3.07265
H -6.60483 1.73985 3.93414
C -4.60871 0.89205 0.53216
H 0.17217 -0.59089 2.26496
N -2.65289 -4.31738 -0.82897
C -5.12145 1.08991 1.81254
N 3.03240 -3.17647 -1.03694
N 6.58462 5.53159 1.52152
H 6.25599 -0.63560 -4.40696
H -2.20968 1.08894 3.54063
H 1.31340 -0.13216 3.54010
H -5.27675 -1.32238 -2.76549
C 1.17404 -2.19142 3.18012
H -0.24546 -0.86609 3.96685
C 5.87908 6.30848 1.05827
C 3.28128 -5.36616 -2.42589
P -7.22356 -0.73719 3.72906
C -2.36704 0.85001 1.41243
N 1.64696 -3.23541 3.11367
H -1.30121 0.74874 1.24951
H 5.76302 0.36592 -3.03599
C -3.21260 -1.58301 -2.53980
C 0.56691 -0.86589 3.24233
H 3.35671 -6.22046 -1.75586
H 0.49704 -0.63538 -2.82781
C -3.24634 0.77606 0.33230
H 2.04277 0.22819 -2.82253
H -4.60948 1.30953 3.90136
C 6.96525 2.42623 -1.48900
H 1.85154 -1.22595 -1.83424
H -6.12315 -1.07293 2.88818
C 4.97994 7.29506 0.47067
N 3.12544 -0.22977 -4.60700
H 5.98374 1.10145 -4.62685
H 5.30520 2.36590 -0.21599
N 0.51721 1.10930 -0.20908
C -0.23828 -3.39726 -0.53549
C -1.57583 -3.95900 -0.65923
H 5.23772 8.28880 0.83133
H 5.06800 7.27718 -0.61405
C 0.87734 0.46869 -1.09233
H 3.95234 7.06991 0.74946
H -2.84182 0.63539 -0.66396
H 6.65905 3.35367 0.36831
C 6.08998 3.06169 -0.51018
H -7.31844 -2.12389 4.17274
H -8.10176 1.47276 3.05913
H -4.75875 -1.93590 -1.17958
C 1.34574 -0.33769 -2.21221
H 5.63499 3.94833 -0.94564
N -2.13124 -1.26426 -2.75489
```

For the max |F|, the calculation gives 0.0081 Eh/bohr. The value obtained for the calculated total energy is -1751.8536 Eh. The SMILES is [PH4]COc1ccccc1.CC#N.CC#N.CC#N.CC#N.CC#N.CC#N.CC#N.CC#N.


No. 2
The following is a quantum chemistry calculation of a structure of composition C3H4GaO3, from OMol25.

```
11
C3H4GaO3 wB97M-V/def2-TZVPD
H -1.49582 -0.91657 -1.28072
O 1.54024 -0.06101 1.55612
Ga 0.06645 1.26972 1.59072
H 2.16540 -1.86888 0.90560
O -1.93304 1.15086 -1.02611
O 0.21834 1.84979 -0.15050
C 1.33173 -1.16197 1.07235
H 0.29608 -1.50791 0.88894
H -0.38041 0.24769 -2.17156
C -0.77230 0.91507 -0.08298
C -1.03667 0.08321 -1.30187
```

Its spin multiplicity is 2. For the max |F|, the calculation gives 0.0855 Eh/bohr. The value obtained for the calculated total energy is -2267.0318 Eh. As for the expectation value of S²: 0.757.


No. 3
+++

Hello August!  I'm actually starting to feel a little panicky about how quickly this year is sliding by.  Today it was warm enough that it felt like Spring - I even lay outside for some time taking in the sunshine.  Unheard of, mid-winter.

As always, a new month brings a new Instagram challenge.  Thanks to all those that participated last month.  We had some really neat shares. My favourite was under #plants - which looked a lot like how gardening turns out for me most of the time (fail).

Here is the August challenge:

Big excuse for a bit of design work, but bigger excuse to go and buy or bake cupcakes.  August is all #win. 

It's another 7 day photo challenge, and a fun networking opportunity for you and your business.  Join in, do one during the month or all seven - whatever suits you best.  Think of it as a fun way to increase the content that you are sharing on your Instagram channel.  Taking part will give your customers a behind the scenes look at your business' fun side.  

I'll be checking in on all our participants and I will be sharing any note-worthy entries month-to-month as well.  So look out for those updates too.

If you live in New Zealand and have need of Social Media Content Management for your business, visit to see our offerings or contact us directly at for pricing and more information. Follow us over at